Restrict sudo -i or sudo -s commands from sudoers file


Is there a way to restrict the following commands sudo -i or sudo -s in the sudoers file?

When I add !/usr/bin/sudo -i or !/usr/bin/sudo -s, sudo still allows users to run the command.


Posted 2017-05-19T16:49:51.647

Reputation: 1

2And what about sudo /bin/bash or sudo /bin/zsh or sudo /some/renamed/bash? If you want to restrict users, you have to whitelist allowed commands. – Daniel B – 2017-05-19T17:50:07.500

Are you saying that I should whitelist instead of having a blacklist? – alisacworld – 2017-05-19T21:39:20.107



I know this is not a good answer, as I can't directly reply to your question, but in man sudoers there's a section called Preventing Shell Escapes which I think may be of interest to you:

Once sudo executes a program, that program is free to do whatever it pleases, including run other programs. This can be a security issue since it is not uncommon for a program to allow shell escapes, which lets a user bypass sudo's access control and logging. Common programs that permit shell escapes include shells (obviously), editors, paginators, mail and terminal programs.

There are two basic approaches to this problem:

   restrict  Avoid giving users access to commands that allow the user to
             run arbitrary commands.  Many editors have a restricted mode
             where shell escapes are disabled, though sudoedit is a better
             solution to running editors via sudo.  Due to the large
             number of programs that offer shell escapes, restricting
             users to the set of programs that do not is often unworkable.

   noexec    Many systems that support shared libraries have the ability
             to override default library functions by pointing an
             environment variable (usually LD_PRELOAD) to an alternate
             shared library.  On such systems, sudo's noexec functionality
             can be used to prevent a program run by sudo from executing
             any other programs.  Note, however, that this applies only to
             native dynamically-linked executables.  Statically-linked
             executables and foreign executables running under binary
             emulation are not affected.


Posted 2017-05-19T16:49:51.647

Reputation: 199


A blacklist in sudoers is almost certainly a waste of time. There are just too many workarounds.

For implementing any sort of restrictions a whitelist is the only practical approach. Even then be careful of permissions on any commands included in the whitelist (regular auditing of this will be required), any commands that may allow shell escapes, and any commands that can write new/existing files.

So, for example, these are bad ideas:

Between two parts of the article: records of molecules.
'''
[1]
DFT (the ωB97M-V functional and the def2-TZVPD basis) results for 7 unconnected molecules or ions with the total composition C45H100F4N7O8S4 at a distorted geometry.

Properties
LUMO level	-5.91	eV
Kohn-Sham gap	6.1	eV
relative energy (zero: lowest compared OMol25 entry of this formula, charge and spin)	0.0	kJ/mol
max |F|	4.0	eV Å⁻¹
total charge	+3

Element x y z (Å)
C -4.06686 1.27213 -4.87866
C -4.20464 -0.21739 -4.59815
C -3.52424 -0.62395 -3.30441
N -4.13290 -1.86365 -2.64065
C -5.51957 -1.71994 -2.06076
C -5.54319 -0.88928 -0.81145
C -4.63532 -1.41191 0.30730
C -3.23279 -1.71967 -0.19798
C -3.13267 -2.34723 -1.58387
C -4.10435 -2.96082 -3.64087
H -3.09040 1.46183 -5.34462
H -4.17951 1.99036 -4.07106
H -4.73651 1.53092 -5.70148
H -3.90686 -0.83094 -5.44753
H -5.27621 -0.44518 -4.53449
H -3.39498 0.13665 -2.53333
H -2.51196 -0.98404 -3.49047
H -6.08232 -1.27286 -2.87847
H -5.86087 -2.74093 -1.88674
H -5.21523 0.13584 -1.00847
H -6.55276 -0.82782 -0.40805
H -4.60318 -0.58398 1.01566
H -5.09023 -2.26523 0.81755
H -2.70585 -0.76265 -0.18506
H -2.69948 -2.45208 0.41162
H -2.13843 -2.16975 -1.99001
H -3.19099 -3.43431 -1.53861
H -3.13741 -3.04789 -4.12367
H -4.91400 -2.81602 -4.35773
H -4.37912 -3.90171 -3.16725
C 0.78546 -3.89372 -0.18123
C 1.80221 -4.91766 0.39570
C 2.03251 -6.03481 -0.58267
N 2.94323 -7.16608 -0.12933
C 2.19970 -7.91698 0.96807
C 2.96857 -9.13987 1.44857
C 3.29876 -10.10004 0.31708
C 3.93009 -9.39884 -0.87389
C 3.18899 -8.13562 -1.26032
C 4.21996 -6.62604 0.45502
H -0.18582 -4.38380 -0.20639
H 1.17206 -3.59212 -1.15448
H 0.74966 -3.02643 0.47127
H 1.32377 -5.23603 1.32849
H 2.72275 -4.44684 0.74026
H 2.53088 -5.67232 -1.48954
H 1.15418 -6.55709 -0.96529
H 1.25886 -8.21647 0.50437
H 2.03342 -7.23582 1.79647
H 2.33770 -9.57218 2.22433
H 3.93427 -8.86080 1.87567
H 2.47069 -10.76251 0.04370
H 3.97375 -10.86153 0.71924
H 3.91082 -10.04536 -1.75286
H 4.99506 -9.23277 -0.70456
H 2.20398 -8.27940 -1.70364
H 3.79292 -7.58821 -1.98940
H 4.93587 -7.43659 0.38233
H 4.08943 -6.32176 1.48565
H 4.54117 -5.82174 -0.20301
C -3.03390 5.18644 -3.15919
C -1.86650 4.20380 -3.25537
C -1.17276 4.28261 -4.59668
N 0.16412 3.58740 -4.79988
C -0.00932 2.14799 -4.37686
C 1.22594 1.33301 -4.77518
C 1.37159 1.40781 -6.29354
C 1.56954 2.85565 -6.72431
C 0.42660 3.71464 -6.28786
C 1.23134 4.25406 -3.99011
H -2.71170 6.16218 -3.52956
H -3.37300 5.30055 -2.13266
H -3.86867 4.86138 -3.78255
H -2.27876 3.20693 -3.08864
H -1.14617 4.43486 -2.46435
H -0.99945 5.34313 -4.80409
H -1.81876 3.95753 -5.41242
H -0.83790 1.74094 -4.95879
H -0.25218 2.12364 -3.31902
H 1.29680 0.28684 -4.47950
H 2.13267 1.72409 -4.29690
H 0.47267 0.98771 -6.75969
H 2.19291 0.76869 -6.61545
H 1.73469 2.81905 -7.80276
H 2.54178 3.18643 -6.34796
H -0.46025 3.49279 -6.87940
H 0.55686 4.79136 -6.42121
H 0.99323 5.31723 -4.09159
H 2.13292 4.25285 -4.59660
H 1.21502 3.89934 -2.96984
C 2.23274 -4.14099 6.35813
C 1.52473 -2.82590 6.63747
C 0.16164 -2.79915 5.98568
N -0.69083 -1.61925 6.30003
'''
The records of molecules stop here.

  • allowing sudo access to execute a script owned by the user
  • giving sudo access to "less"
  • giving sudo access to "cp"

Matt P

Posted 2017-05-19T16:49:51.647

Reputation: 111